Opponents accuse Jeremy Corbyn of failing to protect them from intimidation

........
DFT (GGA-PBE) results for a relaxed structure of HoRe2N6.

Cell lengths 6.2873, 7.4244, 7.4244 Å; angles 85.23, 75.21, 75.21 degrees
Last column: magnetic moment on the atom in μB.
Atoms (fractional coordinates):
Ho 0.2500 0.0915 0.9085  -0.01
Ho 0.7500 0.9085 0.0915  -0.01
Re 0.2476 0.6235 0.7808  -0.10
Re 0.2524 0.2192 0.3765  -0.10
Re 0.7524 0.3765 0.2192  -0.10
Re 0.7476 0.7808 0.6235  -0.10
N 0.5404 0.6338 0.6468  0.13
N 0.9596 0.3532 0.3662  0.13
N 0.4596 0.3662 0.3532  0.13
N 0.0404 0.6468 0.6338  0.13
N 0.7679 0.8902 0.4016  0.21
N 0.7321 0.5984 0.1098  0.21
N 0.2321 0.1098 0.5984  0.21
N 0.2679 0.4016 0.8902  0.21
N 0.1386 0.8035 0.9508  0.10
N 0.3614 0.0492 0.1965  0.10
N 0.8614 0.1965 0.0492  0.10
N 0.6386 0.9508 0.8035  0.10

Values from the calculation:
Formation energy without anion corrections in eV/atom: -0.0829
Raw total energy in eV per atom: -8.91

DFT (GGA-PBE) results for a relaxed structure of Ho2ReN5.

Cell lengths 3.9078, 6.2424, 10.8230 Å; angles 90.00, 90.00, 108.24 degrees
Atoms (fractional coordinates):
Ho 0.8530 0.7059 0.4321
Ho 0.8530 0.7059 0.0679
Ho 0.1470 0.2941 0.5679
Ho 0.1470 0.2941 0.9321
Re 0.8565 0.7130 0.7500
Re 0.1435 0.2870 0.2500
N 0.9544 0.9088 0.8752
N 0.9544 0.9088 0.6248
N 0.2750 0.5499 0.4028
N 0.2750 0.5499 0.0972
N 0.7063 0.4126 0.2500
N 0.2937 0.5874 0.7500
N 0.7250 0.4501 0.5972
N 0.7250 0.4501 0.9028
N 0.0456 0.0912 0.1248
N 0.0456 0.0912 0.3752

Values from the calculation:
Formation energy without anion corrections in eV/atom: -0.3347
Raw total energy in eV per atom: -8.24

DFT (GGA-PBE) results for a relaxed structure of HoRe2N4.

Cell lengths 5.4059, 5.4059, 5.4059 Å; angles 104.41, 104.41, 120.14 degrees
Atoms (fractional coordinates):
Ho 0.5000 0.5000 0.0000
Re 0.2500 0.7500 0.5000
Re 0.7500 0.2500 0.5000
N 0.3816 0.1747 0.5564
N 0.8253 0.3816 0.2069
N 0.1747 0.6184 0.7931
N 0.6184 0.8253 0.4436

Values from the calculation:
Formation energy without anion corrections in eV/atom: -0.1686
Raw total energy in eV per atom: -9.14
Energy relative to the lowest polymorph listed for this composition in kJ/mol of atoms: 25.0

Number 1: volume 17.996 Å³ per atom, magnetic moment 1.05 μB/f.u.. Number 2: volume 15.672 Å³ per atom, magnetic moment 0.08 μB/f.u.. Number 3: volume 16.914 Å³ per atom, magnetic moment 0.00 μB/f.u..

----------

# 1
Here is a geometry-optimized Sc2SnRuN structure from the Alexandria database. Energies are from PBE-GGA.

```
5
Lattice="4.3899 0.0000 0.0000 0.0000 4.3899 0.0000 0.0000 0.0000 4.1998" Properties=species:S:1:pos:R:3 pbc="T T T"
Sc 0.0000 2.1950 0.0000
Sc 2.1950 0.0000 0.0000
Sn 0.0000 0.0000 2.0999
Ru 2.1950 2.1950 2.0999
N 2.1950 2.1950 0.0000
```

Computed properties:
raw formation energy = -805 meV/atom
DOS(E_F) = 0.5315 states/eV/atom
SG = P4/mmm, No. 123
calculated total energy = -7.659 eV/atom

***

# 2
Here is a geometry-optimized Li2In2Sb structure from the Alexandria database. Energies are from PBE-GGA.

```
10
........
[The materials data stop here]

Owen Smith joins Angela Eagle in Labour Party leadership contest

Jeremy Corbyn: accused of failing to protect opponents from threats and online abuse. Photograph: Rob Stothard/Getty Images

Opponents of Jeremy Corbyn have accused the Labour leader of failing to protect them from intimidation, as a second MP launched a challenge for the leadership. Amid complaints from MPs about threats and online abuse, a member of Labour's National Executive Committee (NEC) said Mr Corbyn had failed to do enough to stop it.

Johanna Baxter said a number of NEC members at a meeting on Tuesday to determine if Mr Corbyn should automatically appear on the leadership ballot had faced bullying.

“Certain groups within the party published my personal contact details online; one of my colleagues has just recently had a stalker sectioned – she was in tears, she begged the leader for a secret ballot to protect her and also other colleagues who had received intimidating and bullying behaviour. And the thing that really upset me about that meeting was that the Labour Party leader voted against the proposal to have a secret ballot to protect colleagues,” she said.

Mr Corbyn has publicly condemned intimidation and abuse of his opponents within the party, adding that he had faced much abuse himself. But the atmosphere between the Labour leader’s supporters and most of his parliamentary party has become so sulphurous that his words are likely to have little impact on either side.


Mr Corbyn faces a leadership contest following this week's challenge by former shadow business secretary Angela Eagle. She was joined on Wednesday by former work and pensions secretary Owen Smith, who only a few weeks ago expressed confidence in Mr Corbyn to lead the party into an election in 2020.

“Whilst Jeremy is a good man with great Labour values who has done a lot for this party and I think changed the debate in this country about our economy – he’s been right about lots of things - but he is not a leader who can lead us into an election and win for Labour,” Mr Smith told the BBC on Wednesday.

Ms Eagle has struggled to overcome her voting record, including support for the Iraq war in 2003 and for bombing Syria last year. Mr Smith, who was not an MP at the time of the Iraq war, is positioning himself to her left, and distancing himself from Mr Corbyn's most vociferous critics on the right of the party.

“I will stand in this election and I will do the decent thing and fight Jeremy Corbyn on the issues, just as he will do with me, and at the end of that I will stand behind whoever the leader is. But I hope and I expect it will be me,” he said.

“I refused to have any part in discussions, which have been destructive, from a small group of people on the right who, just like those on the left, it seems to me, are now prepared to let Labour split.”

The NEC on Tuesday agreed that Mr Corbyn will automatically appear on the leadership ballot but introduced restrictions on who will be able to vote in the contest, which his rivals hope will benefit them.

Denis Staunton

Denis Staunton

Denis Staunton is China Correspondent of The Irish Times